### Contents
<<<
ORCA calculation (wB97M-V/def2-TZVPD) on a gas-phase ion, C6H7BrNO2 (charge +1).

Values from the calculation:
HOMO in eV: -12.2
LUMO level in eV: -4.7
Energy above the lowest of the compared OMol25 structures with the same formula, charge and spin in eV: 2.372
Total charge: +1
Orbital gap in eV: 7.49

```
17
Properties=species:S:1:pos:R:3:forces:R:3:mulliken_charge:R:1
C -0.016391 2.120159 -0.825358 0.2 -0.2 -1.4 -0.43
C 0.828935 2.236000 0.296723 -0.2 -0.2 1.1 -0.02
C 0.805751 1.074156 0.989762 -0.1 0.2 0.0 -0.67
C -0.159717 -0.067669 0.715201 -0.1 -0.2 -0.4 -0.10
C -1.367781 0.480512 -0.044513 0.3 0.3 -0.1 0.17
C 0.583136 -1.174093 -0.070148 0.6 0.5 0.6 0.13
N -1.135544 1.552120 -0.713522 -0.8 -0.2 0.6 -0.13
O 1.111859 -0.839009 -1.254243 0.1 -0.1 -0.3 -0.47
O -0.516384 -2.229053 -0.305564 -0.3 0.0 -0.1 -0.23
Br -3.109124 -0.308515 0.064960 0.6 0.3 0.1 -0.08
H 1.546156 3.018634 0.454526 0.2 0.1 0.0 0.47
H 1.576986 0.854808 1.709837 0.2 0.0 0.1 0.40
H -0.504892 -0.494394 1.662662 0.0 0.0 -0.1 0.39
H -1.341419 -1.675909 -0.400634 -0.4 -0.8 -0.2 0.28
H 1.330216 -1.717580 0.518416 -0.2 0.1 -0.1 0.44
H 0.700658 -0.072994 -1.684722 -0.1 0.1 0.1 0.42
H -0.332443 -2.757169 -1.113380 -0.1 0.2 0.2 0.44
```
Positions in Å, forces in eV/Å.

=====

The molecule C4H5NO, computed with ωB97M-V with the def2-TZVPD basis set.

Results
Gap between HOMO and LUMO (eV): 9.2
F_max (eV/Å): 1.155
E (eV): -7761.18503
Energy relative to the best compared isomer or geometry (same formula, charge and spin) (kcal/mol): 123.2
Net charge: 0
M (g mol⁻¹): 83.09
E_HOMO (eV): -8.6839

Last columns: bonded neighbours and bond lengths (Å).
Atoms and positions in Å:
1 C -1.13539 0.18074 -0.25791  H3 1.096, C5 1.473, O7 1.424, H10 1.093
2 H 1.81727 -0.58895 -1.37839  C11 1.094
3 H -1.48231 -0.71136 -0.79173  C1 1.096
4 H 0.78382 -1.47236 -0.17293  C11 1.094
5 C -1.28751 -0.03519 1.19140  C1 1.473, N6 1.156
6 N -1.58388 -0.23209 2.29130  C5 1.156
7 O 0.18039 0.50113 -0.69684  C1 1.424, C9 1.761, C11 1.461
8 H 2.04285 1.29995 0.11683  C9 1.105
9 C 1.39649 0.53054 0.57597  O7 1.761, H8 1.105, C11 1.488
10 H -1.75313 1.03293 -0.55182  C1 1.093
11 C 1.21028 -0.51004 -0.47173  H2 1.094, H4 1.094, O7 1.461, C9 1.488
>>>
### Exercise
Give back the material further up with every line break kept.
### Response
ORCA calculation (wB97M-V/def2-TZVPD) on a gas-phase ion, C6H7BrNO2 (charge +1).

Values from the calculation:
HOMO in eV: -12.2
LUMO level in eV: -4.7
Energy above the lowest of the compared OMol25 structures with the same formula, charge and spin in eV: 2.372
Total charge: +1
Orbital gap in eV: 7.49

```
17
Properties=species:S:1:pos:R:3:forces:R:3:mulliken_charge:R:1
C -0.016391 2.120159 -0.825358 0.2 -0.2 -1.4 -0.43
C 0.828935 2.236000 0.296723 -0.2 -0.2 1.1 -0.02
C 0.805751 1.074156 0.989762 -0.1 0.2 0.0 -0.67
C -0.159717 -0.067669 0.715201 -0.1 -0.2 -0.4 -0.10
C -1.367781 0.480512 -0.044513 0.3 0.3 -0.1 0.17
C 0.583136 -1.174093 -0.070148 0.6 0.5 0.6 0.13
N -1.135544 1.552120 -0.713522 -0.8 -0.2 0.6 -0.13
O 1.111859 -0.839009 -1.254243 0.1 -0.1 -0.3 -0.47
O -0.516384 -2.229053 -0.305564 -0.3 0.0 -0.1 -0.23
Br -3.109124 -0.308515 0.064960 0.6 0.3 0.1 -0.08
H 1.546156 3.018634 0.454526 0.2 0.1 0.0 0.47
H 1.576986 0.854808 1.709837 0.2 0.0 0.1 0.40
H -0.504892 -0.494394 1.662662 0.0 0.0 -0.1 0.39
H -1.341419 -1.675909 -0.400634 -0.4 -0.8 -0.2 0.28
H 1.330216 -1.717580 0.518416 -0.2 0.1 -0.1 0.44
H 0.700658 -0.072994 -1.684722 -0.1 0.1 0.1 0.42
H -0.332443 -2.757169 -1.113380 -0.1 0.2 0.2 0.44
```
Positions in Å, forces in eV/Å.

=====

The molecule C4H5NO, computed with ωB97M-V with the def2-TZVPD basis set.

Results
Gap between HOMO and LUMO (eV): 9.2
F_max (eV/Å): 1.155
E (eV): -7761.18503
Energy relative to the best compared isomer or geometry (same formula, charge and spin) (kcal/mol): 123.2
Net charge: 0
M (g mol⁻¹): 83.09
E_HOMO (eV): -8.6839

Last columns: bonded neighbours and bond lengths (Å).
Atoms and positions in Å:
1 C -1.13539 0.18074 -0.25791  H3 1.096, C5 1.473, O7 1.424, H10 1.093
2 H 1.81727 -0.58895 -1.37839  C11 1.094
3 H -1.48231 -0.71136 -0.79173  C1 1.096
4 H 0.78382 -1.47236 -0.17293  C11 1.094
5 C -1.28751 -0.03519 1.19140  C1 1.473, N6 1.156
6 N -1.58388 -0.23209 2.29130  C5 1.156
7 O 0.18039 0.50113 -0.69684  C1 1.424, C9 1.761, C11 1.461
8 H 2.04285 1.29995 0.11683  C9 1.105
9 C 1.39649 0.53054 0.57597  O7 1.761, H8 1.105, C11 1.488
10 H -1.75313 1.03293 -0.55182  C1 1.093
11 C 1.21028 -0.51004 -0.47173  H2 1.094, H4 1.094, O7 1.461, C9 1.488